For Immediate Release: 11/21/16
Contact: Jack Waite, 512-658-5223 or

Misplaced materials data:
********
Computed powder XRD pattern
Compound: KSr2Br5
Radiation: Cu Kα X-rays
Structure: the PBE geometry in the Materials Project
Peak positions follow from Bragg's law for the DFT cell and can differ from measured ones.

Largest 6 diffraction maxima, sorted by position, 2θ = 10–90°:
Position (°2θ)	d_spacing	I_rel	hkl
25.28	3.523	612	2 1 2
28.29	3.154	458	0 1 4
29.06	3.073	627	2 2 -1
31.26	2.861	1000	2 2 2
32.49	2.756	597	2 0 -4
38.20	2.356	392	4 0 0

Cell and atoms:
Cell lengths 9.424, 8.494, 13.589 Å; angles 90.00, 90.09, 90.00 degrees
Space group P2_1/c (No. 14)
Unique sites:
K1 0.004 0.022 0.178
Sr1 0.251 0.072 0.494
Sr2 0.500 0.023 0.178
Br1 0.037 0.662 0.091
Br2 0.272 0.196 0.715
Br3 0.281 0.045 0.997
Br4 0.283 0.666 0.817
Br5 0.459 0.661 0.101

***

Computed powder XRD pattern
Compound: KTiBr3
Radiation: Cu Kα X-rays
Structure: the PBE geometry in the Materials Project
Peak positions follow from Bragg's law for the DFT cell and can differ from measured ones.

Largest 6 diffraction maxima, sorted by position, 2θ = 10–90°:
Position (°2θ)	d_spacing	I_rel	hkl
13.21	6.700	625	1 1 0
25.26	3.526	264	1 2 1
30.65	2.917	1000	2 2 1
31.63	2.829	380	3 1 1
36.59	2.456	287	1 2 2
56.84	1.620	241	6 0 2

Cell and atoms:
Cell lengths 13.3998, 13.3998, 5.9289 Å; angles 90.00, 90.00, 120.00 degrees
Space group P6_3 (No. 173)
Unique sites:
K1 0.0009 0.3576 0.0000
Ti1 0.0000 0.0000 0.4955
Ti2 0.3333 0.6667 0.2805
Ti3 0.3333 0.6667 0.7194
Br1 0.0951 0.1914 0.7457
Br2 0.1620 0.4941 0.4991
Br3 0.1719 0.6676 0.0007

***

Computed powder XRD pattern
Compound: KTmBr3
Radiation: Cu Kα X-rays
Structure: the PBE geometry in the Materials Project
Peak positions follow from Bragg's law for the DFT cell and can differ from measured ones.

Largest 6 diffraction maxima, sorted by position, 2θ = 10–90°:
Position (°2θ)	d_spacing	I_rel	hkl
16.10	5.505	1000	1 0 1
16.20	5.470	498	0 2 0
22.92	3.880	425	1 2 1
32.53	2.753	594	2 0 2
36.54	2.459	370	2 2 2
40.84	2.210	387	1 2 3

Cell and atoms:
Cell lengths 7.982, 10.939, 7.603 Å; angles 90.00, 90.00, 90.00 degrees
Space group Pnma (No. 62)
Unique sites:
K1 0.072 0.250 0.027
Tm1 0.000 0.000 0.500
Br1 0.023 0.750 0.400
Br2 0.204 0.544 0.800

=====

Diffraction record for KU2Pd2S6. The powder diffractogram is computed, not measured: it uses a cell relaxed with GGA-PBE and copper Kα.

Structure:
Cell lengths 6.9899, 7.0747, 7.2383 Å; angles 67.06, 61.49, 60.83 degrees
Space group P-1 (No. 2)
Inequivalent atoms, fractional coordinates:
K: 0.0000 0.0000 0.0000
U: 0.3356 0.9993 0.3297
Pd: 0.2773 0.5593 0.6799
S: 0.0837 0.7684 0.4298
S: 0.2990 0.2401 0.9550
S: 0.4706 0.7705 0.6603

Largest 12 diffraction maxima, most intense first, 2θ = 15–90°:
2θ (°)  I/Imax  index
15.68  100  1 1 1
30.28  85  -1 1 1
36.44  63  1 -1 2
27.27  56  1 0 2
29.58  55  2 2 1
25.49  39  2 1 1
15.55  35  1 0 0
39.54  35  2 3 1
24.82  31  1 1 2
44.61  31  3 2 3
43.62  26  0 0 3
29.41  25  2 0 1
********

Statement Attributable to Celia Cole, CEO of Feeding Texas

The holiday season is traditionally a time when our communities and the nation come together to look after our neighbors in need. On behalf of Feeding Texas, our Board of Directors, and our twenty-one member food banks, we wish to express our gratitude for this outpouring of support.

Yet hunger is a year-round phenomenon that doesn’t just strike during the holidays. In fact, childhood hunger spikes in the summer (when school is out). This is why addressing hunger must be a year-round cause built on the bedrock of our nation’s commitment to ending hunger.

Far too many people in this country – forty-two million, thirteen million of them children – live in households struggling with hunger. In Texas, one in six households struggles to afford food, including one in four Texas children.

• What comes next are calculated crystals, not part of the article:
<<<
Entry 1:
Zr4TaGe4: theoretical powder diffractogram (CuKα), based on a crystal structure in OQMD, relaxed with GGA-PBE.
Kinematic intensities with the Lorentz-polarization factor, no thermal factor.

Crystal structure
Lattice parameters (Å, degrees): 7.178 7.178 13.131 90.00 90.00 90.00
Element x y z (fractional)
Zr 0.003 0.343 0.221
Zr 0.004 0.847 0.123
Zr 0.153 0.996 0.377
Zr 0.157 0.503 0.471
Zr 0.343 0.003 0.779
Zr 0.347 0.496 0.873
Zr 0.496 0.347 0.127
Zr 0.497 0.843 0.029
Zr 0.503 0.157 0.529
Zr 0.504 0.653 0.627
Zr 0.653 0.504 0.373
Zr 0.657 0.997 0.279
Zr 0.843 0.497 0.971
Zr 0.847 0.004 0.877
Zr 0.996 0.153 0.623
Zr 0.997 0.657 0.721
Ta 0.172 0.172 0.000
Ta 0.328 0.672 0.250
Ta 0.672 0.328 0.750
Ta 0.828 0.828 0.500
Ge 0.037 0.303 0.818
Ge 0.142 0.801 0.923
Ge 0.197 0.537 0.068
Ge 0.199 0.858 0.577
Ge 0.301 0.358 0.673
Ge 0.303 0.037 0.182
Ge 0.358 0.301 0.327
Ge 0.463 0.803 0.432
Ge 0.537 0.197 0.932
Ge 0.642 0.699 0.827
Ge 0.697 0.963 0.682
Ge 0.699 0.642 0.173
Ge 0.801 0.142 0.077
Ge 0.803 0.463 0.568
Ge 0.858 0.199 0.423
Ge 0.963 0.697 0.318

Most intense lines, 10 to 80 degrees two-theta, in order of falling intensity:
- 2θ = 40.11°, I = 100.0
- 2θ = 34.65°, I = 93.4
- 2θ = 38.60°, I = 87.4
- 2θ = 36.05°, I = 82.6
- 2θ = 14.06°, I = 31.3
- 2θ = 56.89°, I = 30.5
- 2θ = 39.25°, I = 25.1
- 2θ = 74.38°, I = 23.5
- 2θ = 45.12°, I = 22.5
- 2θ = 61.68°, I = 21.2

Entry 2:
Hf2Zr4Cu3C3: theoretical powder diffractogram (CuKα), based on a crystal structure in OQMD, relaxed with GGA-PBE.
Kinematic intensities with the Lorentz-polarization factor, no thermal factor.

Crystal structure
Lattice parameters (Å, degrees): 5.774 5.774 14.076 101.70 101.70 58.86
Element x y z (fractional)
Hf 0.024 0.872 0.597
Hf 0.128 0.976 0.903
Hf 0.872 0.024 0.097
Hf 0.976 0.128 0.403
Zr 0.195 0.365 0.093
Zr 0.300 0.471 0.409
Zr 0.365 0.195 0.593
Zr 0.471 0.300 0.909
Zr 0.529 0.700 0.091
Zr 0.635 0.805 0.407
Zr 0.700 0.529 0.591
Zr 0.805 0.635 0.907
Cu 0.113 0.264 0.750
Cu 0.264 0.113 0.250
Cu 0.344 0.656 0.250
Cu 0.656 0.344 0.750
Cu 0.736 0.887 0.750
Cu 0.887 0.736 0.250
C 0.000 0.500 0.500
C 0.161 0.676 0.998
C 0.324 0.839 0.502
C 0.500 0.000 0.000
C 0.676 0.161 0.498
C 0.839 0.324 0.002

Most intense lines, 10 to 80 degrees two-theta, in order of falling intensity:
- 2θ = 36.77°, I = 100.0
- 2θ = 36.93°, I = 96.7
- 2θ = 37.32°, I = 67.0
- 2θ = 39.50°, I = 48.1
- 2θ = 55.81°, I = 35.8
- 2θ = 30.98°, I = 26.8
- 2θ = 18.09°, I = 26.3
- 2θ = 69.38°, I = 24.2
- 2θ = 54.76°, I = 22.6
- 2θ = 32.22°, I = 20.5

* * * * *

The following is a calculated powder diffractogram of Cs4FeO4. It was derived from a structure optimized by DFT (GGA+U), using Cu Kα, 1.54184 Å.
Neutral-atom scattering factors, no anomalous dispersion.

Top 10 peaks for 15° ≤ 2θ ≤ 90°, sorted by position:
25.41°, I = 100, (2 0 1)
27.48°, I = 87, (2 1 1)
29.43°, I = 69, (2 2 0)
31.23°, I = 57, (1 0 2)
36.24°, I = 26, (3 1 1)
37.76°, I = 30, (2 1 2)
42.10°, I = 38, (4 0 0)
48.59°, I = 42, (3 2 2)
>>>

This problem would be far, far worse were it not for our nation’s profoundly effective and efficient anti-hunger programs: SNAP, also known as food stamps; school meals; the Child and Adult Care Food Program that pays for nutrition in child care, Head Start, afterschool programs and shelters; the summer food programs; WIC; and finally TEFAP, which provides surplus commodities to our food banks.

We give thanks for these national programs that reduce hunger and poverty, improve health and learning, improve productivity, create jobs and economic growth, and strengthen our communities.

• Unrelated to this article: data records:
'''
Structure and simulated powder XRD pattern of BaMn2N2 (a crystal structure in the Materials Project, relaxed with GGA-PBE; Cu Kα (weighted mean of Kα1 and Kα2)).
Neutral-atom scattering factors, no anomalous dispersion.

Structure:
```
BaMn2N2
1.0
-3.122 3.122 4.830
3.122 -3.122 4.830
3.122 3.122 -4.830
Ba Mn N
2 4 4
Direct
0.250 0.250 0.000 Ba
0.750 0.750 0.000 Ba
0.136 0.636 0.771 Mn
0.364 0.136 0.500 Mn
0.636 0.864 0.500 Mn
0.864 0.364 0.229 Mn
0.160 0.340 0.500 N
0.340 0.840 0.180 N
0.660 0.160 0.820 N
0.840 0.660 0.500 N
```

The 8 most intense peaks (15° ≤ 2θ ≤ 90°), low angle first:
| 2theta | I_rel |
| --- | --- |
| 20.11 | 15 |
| 27.37 | 100 |
| 28.59 | 14 |
| 34.20 | 39 |
| 37.23 | 22 |
| 45.96 | 28 |
| 60.57 | 24 |
| 62.53 | 16 |
'''

We also give thanks to the Texas Legislature, for their support of our fresh produce program “Feeding with Impact.” Through this partnership with the Texas Department of Agriculture, our food banks rescued fifty million pounds of produce last year to nourish needy Texans.

These programs help many who are struggling: seniors, children, people with disabilities, veterans and active duty military families, low-paid workers, unemployed and underemployed adults, and others.

Shortly after this holiday season ends, the new Congress and President-elect Trump will be sworn in and begin making key decisions. We call on them to recommit America to one of our most important, bipartisan and widely agreed-upon beliefs – that nobody in our nation should go hungry.

We call on them to protect the federal nutrition programs, fully fund them, and take steps to assure that all hungry people in our country have access to the nutrition they need to live a healthy, active life. We will be proud to work with them to achieve this goal.

Happy holiday season!